Editor’s Note: Jill Filipovic is a journalist based in New York and author of the book “OK Boomer, Let’s Talk: How My Generation Got Left Behind.” Follow her on Twitter. The opinions expressed in this commentary are solely her own. View more opinion on CNN.

CNN  — 

With midterm elections approaching in November, Democrats have surprisingly good reasons to feel optimistic. Republicans have reminded voters of how bad things can get with them in charge, as a spate of unpopular laws go into effect in conservative states that criminalize abortion and put the lives of pregnant women at risk, not to mention attempt to legally force legions of Americans into unwanted parenthood. Since recent estimates from the Brookings Institution show that raising a child has never been more expensive, that reality hits particularly hard for voters who must now consider whether forced parenthood comports with their vision for America.

Jill Filipovic

At the same time, the Republican frontrunner for the 2024 presidential nomination and the undisputed head of the GOP – former President Donald Trump – is the subject of an investigation over his handling of classified documents and potential violations of the Espionage Act and other laws. He has repeatedly denied wrongdoing.

What was initially believed to be a Republican sweep in November now has a bluer outlook, and for that, the GOP can thank itself.

But Democrats shouldn’t get too confident. We are living in an America that is crueler, more divided and more despairing than at any point in my lifetime. And while those conditions can lend themselves to positive and even transformative social change, they often do the opposite, pushing populations toward bigotry, hyper-nationalism and reactionary politics.

(Next to the page, the page also holds calculated crystals)
=====
Simulated powder XRD pattern
Compound: K4TlNi3F12
Radiation: copper Kα
Structure: a GGA+U-relaxed structure

Atomic structure:
```
K4TlNi3F12
1.0
-4.2353 4.2353 4.2353
4.2353 -4.2353 4.2353
4.2353 4.2353 -4.2353
K Tl Ni F
4 1 3 12
direct
0.0000 0.0000 0.5000 K
0.0000 0.5000 0.0000 K
0.5000 0.0000 0.0000 K
0.5000 0.5000 0.5000 K
0.0000 0.0000 0.0000 Tl
0.0000 0.5000 0.5000 Ni
0.5000 0.0000 0.5000 Ni
0.5000 0.5000 0.0000 Ni
0.0000 0.2718 0.2718 F
0.0000 0.7282 0.7282 F
0.2500 0.5000 0.7500 F
0.2500 0.7500 0.5000 F
0.2718 0.0000 0.2718 F
0.2718 0.2718 0.0000 F
0.5000 0.2500 0.7500 F
0.5000 0.7500 0.2500 F
0.7282 0.0000 0.7282 F
0.7282 0.7282 0.0000 F
0.7500 0.2500 0.5000 F
0.7500 0.5000 0.2500 F
```

The 6 most intense peaks (2θ from 15° to 90°), sorted by position:
two_theta  I/Imax
20.98  50
29.83  100
42.70  48
48.04  22
52.96  38
61.97  28
=====

Democrats are going to have a hard time harnessing voter energy toward positive change. They can, however, make the case that a Republican victory would be disastrous. To do that, they should lean into touting popular policies they will implement and emphasizing real threats posed by a GOP win. They need to make the case about what they would do to counter right-wing extremism. Ditto voting rights and the threat to democracy itself. Democrats need to come to voters not just with dire and accurate warnings, but a plan of attack beyond “vote for us.”

### Inserted here: records of crystals
~~~
Calculated PXRD pattern
Compound: GaCu3NF3
Radiation: a wavelength of 1.5418 Å
Structure: a crystal structure in OQMD, relaxed with GGA-PBE
Neutral-atom scattering factors, no anomalous dispersion.

The 10 most intense peaks (15 to 90 degrees two-theta), in order of rising 2θ:
d = 3.969 Å, rel. 64, hkl 1 1 1
d = 3.933 Å, rel. 39, hkl 1 0 2
d = 2.685 Å, rel. 33, hkl 2 0 2
d = 2.538 Å, rel. 100, hkl 0 2 2
d = 2.501 Å, rel. 38, hkl 0 0 4
d = 2.328 Å, rel. 23, hkl 1 0 4
d = 2.144 Å, rel. 41, hkl 2 1 3
d = 2.122 Å, rel. 32, hkl 3 0 0
d = 1.844 Å, rel. 25, hkl 1 3 1
d = 1.628 Å, rel. 57, hkl 3 2 2

Structural model:
Cell lengths 6.3647, 5.8915, 10.0045 Å; angles 90.00, 90.00, 90.00 degrees
Space group Aem2 (No. 39)
Symmetry-distinct sites (fractional):
Ga1 0.1567 0.2500 0.0000 (multiplicity 4)
Cu1 0.1874 0.0514 0.7147 (multiplicity 8)
Cu2 0.4605 0.2500 0.8818 (multiplicity 4)
N1 0.0616 0.2500 0.1788 (multiplicity 4)
F1 0.0000 0.0000 0.4252 (multiplicity 4)
F2 0.3342 0.2500 0.5171 (multiplicity 4)
F3 0.5000 0.0000 0.2286 (multiplicity 4)

~~~~~

1.
The following is a calculated powder X-ray diffraction pattern of TbErCo2Pb. It was derived from a DFT-relaxed cell (GGA-PBE, OQMD), using copper Kα.
No peak broadening, texture or thermal motion is included.

Structure:
```
5
Lattice="3.835 0.000 0.000 0.000 1.917 7.032 0.000 -1.917 7.032" Properties=species:S:1:pos:R:3 pbc="T T T"
Tb 0.000 0.000 0.000
Er 0.000 0.000 10.103
Co 1.918 0.000 2.176
Co 1.918 0.000 7.972
Pb 1.918 0.000 5.040
```

Most intense lines, 10° ≤ 2θ ≤ 90°, in order of rising 2θ:
2θ 30.1, intensity 54
2θ 33.7, intensity 100
2θ 34.6, intensity 74
2θ 38.4, intensity 25
2θ 39.7, intensity 28
2θ 47.4, intensity 41
2θ 57.1, intensity 20
2θ 57.2, intensity 18
2θ 60.0, intensity 30
2θ 79.3, intensity 17

2.
The following is a calculated powder X-ray diffraction pattern of Li2Sc2AlGaNi2. It was derived from a DFT-relaxed cell (GGA-PBE, OQMD), using copper Kα.
No peak broadening, texture or thermal motion is included.

Structure:
```
8
Lattice="4.344 0.000 0.000 0.000 4.344 0.000 0.000 0.000 6.148" Properties=species:S:1:pos:R:3 pbc="T T T"
Li 0.000 2.172 1.516
Li 2.172 0.000 4.631
Sc 0.000 0.000 3.074
Sc 2.172 2.172 0.000
Al 2.172 2.172 3.074
Ga 0.000 0.000 0.000
Ni 0.000 2.172 4.589
Ni 2.172 0.000 1.558
```

Most intense lines, 10° ≤ 2θ ≤ 90°, in order of rising 2θ:
2θ 14.4, intensity 4
2θ 20.4, intensity 4
2θ 25.1, intensity 35
2θ 29.1, intensity 3
2θ 41.6, intensity 100
2θ 49.2, intensity 16
2θ 60.2, intensity 16
2θ 66.3, intensity 6
2θ 75.8, intensity 30
2θ 81.4, intensity 4

3.
The following is a calculated powder X-ray diffraction pattern of Ir3Pd3W2. It was derived from a DFT-relaxed cell (GGA-PBE, OQMD), using copper Kα.
No peak broadening, texture or thermal motion is included.

Structure:
```
8
Lattice="5.543 0.000 0.000 -2.771 4.800 0.000 0.000 0.000 4.478" Properties=species:S:1:pos:R:3 pbc="T T T"
Ir -1.373 2.408 0.000
Ir 1.373 2.408 0.000
Ir 0.000 4.786 0.000
Pd 1.373 0.793 2.239
~~~

When President Joe Biden pointed to the “semi-fascism” of the Republican Party’s rightmost flank, he was not exaggerating. And while plenty of Americans are understandably fed up a Democratic Party that holds the levers of power has failed to achieve goals crucial to its overall agenda, Biden is also right that this election is for nothing less than the soul of the country. And as long as much of the Republican Party keeps walking down its current antidemocratic path, the same will be true of subsequent elections as well.

While voters handed Biden a victory in 2020, the last two years have been fairly lackluster. Biden did offer some important improvements in people’s lives, most notably extending important economic lifelines to get Americans through Covid shutdowns. And just this month, Biden also announced a significant student loan relief program, unshackling a great many graduates from up to $10,000 ($20,000 for Pell grant recipients) of student debt and reining in predatory interest rates.

But thanks in large part to congressional recalcitrance, including from two moderate Democratic senators in Joe Manchin of West Virginia and Kyrsten Sinema of Arizona, the Biden administration has not been able to go as far as many Democratic voters would have liked on some of our country’s most pressing needs, from universal pre-K to paid parental leave to legislation to curb climate change that goes far beyond what the Inflation Reduction Act will do.

While economists may quibble about who or what is at fault for our odd economic reality – inflation coupled with healthy jobs reports – Americans are feeling the pinch on their pocketbooks. Add that to a growing sense of pervasive disorder and discord, and the reality that rates of some serious violent crimes shot up during Covid-19 after years of decline, and Democrats had good reason to be worried about how they might fare in November.

But then, Republicans got what they wanted: A Supreme Court that stripped the broad right to abortion from American women and conservative state governments that immediately outlawed the procedure with few (and in some cases, no) exceptions for rape victims, fetal anomaly or a pregnant woman’s health. Extreme anti-abortion politics may dominate among Republican Party elected officials, but they are vastly unpopular nationwide, and these Republican-penned laws go far further in restricting abortion rights than even most Republicans say they want.

Stories now abound of women seriously injured or nearly dying because of these laws. And while Republican-led states are forcing pregnant women to give birth against their will, the cost of raising a child has ticked up to more than $300,000 – and that’s before paying for college. States that outlaw or likely will outlaw abortion are much, much worse than states with liberal abortion laws when it comes to support for women and children, and even whether a woman and her child are likely to make it through childbirth at all. Perhaps as a result of these extreme attacks on women’s right and the immediately apparent and dire consequences, huge numbers of women have registered to vote since the Supreme Court issued its decision, portending a large-scale female rejection of anti-abortion Republican candidates.

Republican voters also got what they wanted when they cast their ballots for Trump in 2016, and the Republican establishment largely got in line; many of those who initially warned of the dangers Trump posed became pathetic sycophants singing his praises, and the very few who stuck to their principles have largely been voted out of office.

Trump misled no one about who he was: A ruthless businessman who always put his own interests above all else; a man who did not believe the rules, legal or otherwise, applied to him; a demagogue whose campaign was largely bereft of policy but heavy on reactionary rhetoric. But that hardly makes the midterms Democrats’ to lose.

The same landscape of despair and dissatisfaction that make Republican anti-abortion laws so galling is also a landscape in which far-right movements often thrive. You see this in views creeping more into the conservative mainstream, with right-wing commentators suggesting that only a small group (wealthy White men) should have the right to vote, Republican candidates for office publicly romanticizing violence or fantasizing about murdering the opposition and even Republican Sen. Lindsey Graham of South Carolina warning that people will “riots in the streets” if Trump is held legally accountable.

This is the ideology underpinning so much of Trumpism: That there are “real” Americans who are deserving of all of our nation’s privileges and protections and the less-real ones who are not. That can be an awfully tempting view for those who believe they are part of the in group, who are searching for a simple explanation for the complicated forces that have shaped their lives, and who need some sense of greater purpose – and may find it in being an armed thug for Trump.

== The page is interrupted by data records ==
┌──
Computed powder diffractogram
Compound: Li10Mn2V3Cr3O16
Radiation: CuKα
Structure: a structure optimized by DFT (GGA+U)
Lines closer than 0.1° are merged.

Largest 8 diffraction maxima, low angle first, 2θ = 10–90°:
- 2θ = 17.75°, d = 4.996 Å, rel. 67, hkl 0 0 2
- 2θ = 19.14°, d = 4.638 Å, rel. 100, hkl 2 0 1
- 2θ = 24.63°, d = 3.615 Å, rel. 36, hkl 2 0 2
- 2θ = 34.68°, d = 2.587 Å, rel. 70, hkl 3 1 -2
- 2θ = 35.43°, d = 2.534 Å, rel. 41, hkl 4 0 1
- 2θ = 43.97°, d = 2.059 Å, rel. 78, hkl 4 0 -3
- 2θ = 44.03°, d = 2.057 Å, rel. 38, hkl 2 2 3
- 2θ = 61.27°, d = 1.513 Å, rel. 41, hkl 6 2 0

Atomic structure:
```
data_Li10Mn2V3Cr3O16
_chemical_formula_sum 'Li20 Mn4 V6 Cr6 O32'
_symmetry_space_group_name_H-M 'C 1 m 1'
_symmetry_Int_Tables_number 8
_cell_length_a 10.4896
_cell_length_b 6.0364
_cell_length_c 9.9924
_cell_angle_alpha 90.00
_cell_angle_beta 90.07
_cell_angle_gamma 90.00
loop_
_symmetry_equiv_pos_as_xyz
'x,y,z'
'x,-y,z'
'x+1/2,y+1/2,z'
'x+1/2,-y+1/2,z'
loop_
_atom_site_label
_atom_site_fract_x
_atom_site_fract_y
_atom_site_fract_z
Li1 0.0000 0.0000 0.0000
Li2 0.0012 0.0000 0.5023
Li3 0.1023 0.2976 0.9263
Li4 0.1683 0.5000 0.7121
Li5 0.2009 0.0000 0.4285
Li6 0.3062 0.5000 0.9232
Li7 0.3346 0.0000 0.2122
Li8 0.4043 0.2086 0.4241
Mn1 0.1693 0.5000 0.4631
Mn2 0.3364 0.0000 0.9617
V1 0.0852 0.2517 0.2009
V2 0.1698 0.0000 0.7014
Cr1 0.3335 0.5000 0.1999
Cr2 0.4180 0.2480 0.7001
O1 0.0077 0.5000 0.3145
O2 0.0817 0.2367 0.5869
O3 0.1583 0.0000 0.0857
O4 0.1729 0.5000 0.0803
O5 0.2477 0.2586 0.3149
O6 0.2552 0.2398 0.8144
O7 0.3400 0.0000 0.5832
O8 0.3428 0.5000 0.5865
O9 0.4230 0.2615 0.0871
O10 0.4954 0.5000 0.3160
O11 0.4956 0.0000 0.8156
O12 0.4961 0.5000 0.8132
```

=====

Calculated X-ray powder pattern of Na2Zn5Ga4 for Cu Ka, from DFT lattice parameters and positions (GGA-PBE).
Intensities are scaled so that the largest is 100.

Most intense lines, 10 to 90 degrees two-theta, in order of rising 2θ:
(hkl)  2theta  I/Imax
0 2 0  18.6  77
1 1 1  19.5  87
1 3 3  36.5  82
2 2 0  38.0  32
2 0 4  39.5  100
1 3 5  42.6  38
0 0 8  43.4  56
0 4 4  43.7  64
2 2 4  43.9  78
2 6 8  84.4  29

Crystal structure
a = 5.4603 Å, b = 9.5486 Å, c = 16.6785 Å
α = 90.00°, β = 90.00°, γ = 90.00°
Space group Fmmm (No. 69)
One atom of each set of equivalent atoms:
Na 0.0000 0.0000 0.1230 (multiplicity 8)
Zn 0.0000 0.0000 0.5000 (multiplicity 4)
Zn 0.2500 0.2500 0.0000 (multiplicity 8)
Zn 0.2500 0.2500 0.2500 (multiplicity 8)
Ga 0.0000 0.1538 0.3702 (multiplicity 16)

=====

The following is a theoretical XRD peak list of Se. It was derived from a DFT-relaxed cell (PBE, Alexandria), using Cu Kα.

Top 12 peaks for 2θ from 15° to 90°, by intensity:
2θ (°)	d (Å)	intensity	(hkl)
20.6	4.316	100.0	1 2 0
22.2	4.007	80.8	0 2 2
26.6	3.354	73.1	2 2 -3
18.3	4.844	56.4	0 2 1
26.4	3.379	45.0	2 2 -1
45.8	1.982	37.1	3 4 -4
25.3	3.521	33.8	1 1 -4
23.5	3.791	31.6	1 0 2
29.9	2.991	30.1	2 1 1
38.5	2.341	29.7	4 0 -4
20.8	4.279	26.3	2 1 -2
30.2	2.958	24.2	0 1 4

Structural model:
└──

It is also creeping awfully close to fascism.

When Biden made the point, though, that a propensity for “semi-fascism” drives reactionaries toward the Republican Party, conservatives howled – despite decades of calling just about every Democrat, including the extremely moderate Biden, a “communist” or a “socialist.” The hypocrisy is indeed a bit rich – right up there with the people whose favorite campaign chant was “lock her up” now threatening street riots if the investigation of Trump ends in criminal charges.

It’s equal parts absurd and dangerous. The stakes were high in 2020; they are high in November; they will be high again in 2024, unless the Republican Party moderates itself and decides it would like to participate in a multiparty representative democracy, rather than dominate in a single-party state. But there is little indication that Republicans will course correct. While they continue their turn toward a dangerous anti-democratic ideology, Biden’s “semi-fascism” characterization was, if anything, too kind. He would have been more correct to drop the “semi” and call violent authoritarianism exactly what it is.

Source: www.cnn.com